Tuesday, 14 February 2017

History of the Narmada Water Dispute Tribunal

History of the Narmada Water Dispute Tribunal 

In 2016-17, the SC ruled (while the Bhartiya Janta Party was in power at the center) that the Sardar Sarovar dam oustees be paid cash compensation and further (as reported in the Telegraph) -

 “the judges asked the 4,897 families to vacate their land by July 31, 2017 failing which the authorities will be free to "forcibly remove them”.


This fundamentally violates the provisions of rehabilitation and resettlement laid down by the Narmada Water Dispute Tribunal Award (NWDT) for the dam to be built. The judgement also robs the people of the Narmada valley of their fundamental rights, rights to justice and dignity.

-- These records of crystals were left in the text by mistake --
____________
# 1
The following is a theoretical X-ray diffraction stick pattern of Sm4Y8Ho3. It was derived from a DFT-relaxed cell (GGA-PBE, Alexandria), using Cu Kα (λ = 1.5418 Å).
No peak broadening, texture or thermal motion is included.

Cell and atoms:
```
Sm4Y8Ho3
1.0
3.4901 2.0150 11.8039
-3.4901 2.0150 11.8039
0.0000 -4.0300 11.8039
Sm Y Ho
4 8 3
Cartesian
0.0000 0.0000 0.0000 Sm
0.0000 0.0000 5.7984 Sm
0.0000 0.0000 17.7059 Sm
0.0000 0.0000 29.6134 Sm
0.0000 -2.0057 14.7313 Y
-1.7370 1.0028 14.7313 Y
-1.7370 -1.0028 20.6805 Y
0.0000 0.0000 9.0287 Y
0.0000 0.0000 26.3831 Y
1.7370 1.0028 14.7313 Y
1.7370 -1.0028 20.6805 Y
0.0000 2.0057 20.6805 Y
-1.7451 -1.0075 11.8039 Ho
-1.7450 1.0075 23.6079 Ho
0.0000 2.0150 11.8039 Ho
```

Most intense lines, 15° ≤ 2θ ≤ 90°, by angle:
d (Å)	two_theta	I/Imax
3.347	26.63	33
3.008	29.70	49
2.951	30.29	64
2.860	31.27	100
2.595	34.57	22
2.496	35.98	74
1.745	52.43	42
1.502	61.76	50

***

# 2
The following is a theoretical X-ray diffraction stick pattern of Sm5YHo. It was derived from a DFT-relaxed cell (GGA-PBE, Alexandria), using Cu Kα (λ = 1.5418 Å).
No peak broadening, texture or thermal motion is included.

Cell and atoms:
```
Sm5YHo
1.0
6.9624 0.0000 0.0000
0.0000 10.4129 0.0000
-2.2080 0.0000 6.6751
Sm Y Ho
10 2 2
Cartesian
0.0000 0.0000 0.0000 Sm
-0.2799 2.9701 4.8849 Sm
-0.2799 7.4428 4.8849 Sm
1.5531 2.2364 1.7902 Sm
1.5531 8.1766 1.7902 Sm
3.4812 5.2065 0.0000 Sm
3.2013 2.2364 4.8849 Sm
3.2013 8.1766 4.8849 Sm
5.0343 2.9701 1.7902 Sm
5.0343 7.4428 1.7902 Sm
-1.1040 0.0000 3.3376 Y
2.3772 5.2065 3.3376 Y
0.0000 5.2065 0.0000 Ho
3.4812 0.0000 0.0000 Ho
```

Most intense lines, 15° ≤ 2θ ≤ 90°, by angle:
d (Å)	two_theta	I/Imax
4.105	21.65	24
2.960	30.19	28
2.858	31.30	34
2.836	31.55	51
2.810	31.85	100
2.790	32.08	74
2.649	33.83	27
2.603	34.45	29

***

# 3
The following is a theoretical X-ray diffraction stick pattern of Sm2Y3Ho9. It was derived from a DFT-relaxed cell (GGA-PBE, Alexandria), using Cu Kα (λ = 1.5418 Å).
No peak broadening, texture or thermal motion is included.

Cell and atoms:
```
Sm2Y3Ho9
1.0
6.4082 0.0000 0.0000
2.7036 7.9330 0.0000
1.0510 0.0243 8.8017
Sm Y Ho
2 3 9
Cartesian
0.0000 0.0000 0.0000 Sm
2.8739 5.1497 1.7306 Sm
3.3005 0.7833 6.5814 Y
4.2219 2.3935 0.3210 Y
6.4115 4.8227 3.5765 Y
1.4227 2.0355 2.2196 Ho
4.1938 7.1964 3.9868 Ho
3.2303 3.5689 4.6967 Ho
5.1433 5.2500 6.9258 Ho
5.8947 6.8099 0.6803 Ho
4.6949 0.4851 3.2807 Ho
6.5299 2.0103 5.7800 Ho
8.3248 6.5055 6.1626 Ho
8.3913 3.7421 8.0691 Ho
```

Most intense lines, 15° ≤ 2θ ≤ 90°, by angle:
d (Å)	two_theta	I/Imax
2.950	30.29	38
2.833	31.58	100
2.809	31.86	55
2.762	32.42	36
2.757	32.47	80
2.733	32.77	19
2.684	33.38	25
1.924	47.25	17

***

# 4
The following is a theoretical X-ray diffraction stick pattern of SmY5Ho3. It was derived from a DFT-relaxed cell (GGA-PBE, Alexandria), using Cu Kα (λ = 1.5418 Å).
No peak broadening, texture or thermal motion is included.

Cell and atoms:
```
SmY5Ho3
1.0
8.0187 -3.3594 0.0000
____________

As the SC judgement violates the NWDT award, it would be important to remember the history of the interstate dispute over the dam height between the States of Gujarat, Maharashtra and Madhya Pradesh. It would be important to know the history of the formation of the NWDT in the year 1969 under the Inter State River Water Disputes Act, 1956; the declaration of the award in December 1979; the powerful struggle called the Nimad Bachao Andolan in Madhya Pradesh against the NWDT award that had raised the dam height in favor of Gujarat; and later on, the Narmada Bachao Andolan (NBA). It would be important to know the role different politicians played in the history of the Sardar Sarovar Project (SSP), especially the role of Pandit Nehru, Indira Gandhi and Morarji Desai. The details of this history, the interstate disputes, the people's struggle against the dam can be reffered to here in the voices of diverse people associated with the struggle: https://oralhistorynarmada.in/early-history-of-the-movement/ 

But here is a glimpse of this history of the Dam, followed by the history of how the Sardar Sarovar Project was conceived and the formation of the NWDT as detailed in the autobiography of Late Mr. Morarji Desai titled, ‘Maru Jeevan Vrutant’ (My life account) marked in blue.  

It was in the year 1961 that the foundation of a much smaller dam than what it is now was laid in Gujarat on the river Narmada by India's first Prime Minister Pandit Nehru. The height of the dam, called the Navagam Dam back then (now the Sardar Sarovar Project) was 161 feet only, see: http://www.sardarsarovardam.org/history-of-nwdt.aspx. However Gujarat state and its politicians wanted a much higher dam on the river Narmada. This resulted into a dispute among the party states as a high dam on the Narmada in Gujarat was to submerge large tracks of fertile lands and forests in the adjacent states of Madhya Pradesh and Maharashtra. The dispute over the height of the dam and the sharing of Narmada waters was therefore referred to a tribunal in 1969 as the state of Gujarat was not agreeable to a smaller dam. This was when the Prime Minister of India was Mrs. Indira Gandhi. It was only 10 years later in 1979 that the Narmada Water Dispute Tribunal gave its order in favor of Gujarat for a much higher dam at 455 feet when the Janta Party government was in power in India. It is a wide spread belief in the Narmada Valley that the working of the tribunal gained momentum  only after Mr. Morarji Desai from Gujarat became India's Prime Minister and the height of the dam was increased in favor of Gujarat while the Janta Party was in power. The dam got completed in 2017, also while the Bhartiya Janta Party was in power with Mr. Narendra Modi, originally from Gujarat as the Prime Minister of India.

Some of this early history is shared here as written by Mr. Morarji Desai in his autobiography translated from Gujarati to English:  

Sardar Sarovar Dam. Photo Source: Wikipedia.

Morarji Desai: "In 1947-48, it was thought to implement several irrigation projects in the State of Mumbai [Which at that time included areas of today’s Gujarat and Maharashtra]. Tapi and Narmada projects were accepted then but since statistical information was not available regarding the Narmada project that the sketch of the Narmada project could not be drawn immediately. It was decided by Sardar Vallabhbhai Patel and many of us to first lay out the sketch and implement the Tapi project and after that take up the Narmada Project. When this project was being planned, I was the Chief Minister of Mumbai State. I had instructed several industrialists of Ahmedabad to set up a ‘Nigam’ to give final outline to the project, to administer it and to raise necessary funds for the project. I had promised them that the management of the project would remain with them so long as the Government does not repay the amount they had invested in the project.  At that time the Narmada Project was the cheapest and yet it was not possible to pay ordinary interest. As there was poor response to this, these negotiations were abandoned. When the Mumbai Government first planned the project, as proper statistical information was not available, the height of the dam was fixed at 300 feet. In the year 1960, it was when Gujarat and Maharashtra were separated, that Shri. Jawaharlal Nehru had laid the foundation stone of the dam.

“However due to lack of funds, the construction work could not be started. Keeping in mind the States of Madhya Pradesh, Gujarat, Maharashtra and Rajasthan, in order to study the Narmada Project in-depth, the Government appointed the Khosla commission in the year 1963-64. The head of the commission Shri. Khosla was a well known engineer and an able administrator. He or any of the members of Khosla commission had nothing to do with Gujarat. The commission collected all kinds of data, kept in mind the interests of all the four concerned States[1], and seeing that the rights of none of the concerned States were affected, it took into account the utmost way in which waters of the Narmada could be utilised. While giving its final report in the year 1965-66[2], the commission recommended the height of the dam at Navagam[3] should be minimum 500 or 530 feet. Gujarat gave its consent and Rajasthan[4] also accepted this. Madhya Pradesh opposed this and did not accept this. Due to this height approximately 99,000 acres of agricultural land in Madhya Pradesh would drown in the water. Besides, Gujarat would be deprived from the future use of Narmada waters for only 150 miles where as Madhya Pradesh approximately 700 long miles. It was on these grounds that it had opposed [the height of the dam proposed by the Khosla commission]. Maharashtra where Narmada flew only over 30 miles, joined common cause with Madhya Pradesh and demanded more share in the electricity to be generated. As Madhya Pradesh opposed with fury, it was not possible to implement the project in Gujarat.

“After the fourth general elections, I rejoined the central cabinet ministers. I was not in the Government from 1963 March to 1967. As per the provisions of the constitution, in case of inter State river disputes and decisions by the States there in, the central Government did not have the rights to impose its decision on the concerned States. However the central Government had the rights to appoint a legal tribunal that would hear the petition/ appeal/request of the States and give a reasonable judgement. In order to overcome the deadlock created by Madhya Pradesh, as per the provisions of the tribunal, I requested the Prime Minister to refer this dispute to a tribunal. Smt. Gandhi had agreed to my suggestion and this question was handed over to the legal tribunal in the year 1968-69. Unfortunately Madhya Pradesh by employing several good and bad measures delayed the matter.

“In the election of 1972, Smt. Gandhi had promised the people of Gujarat to bring an early resolution of the Narmada controversy. The people of Gujarat believed that Smt. Gandhi would intervene and give her decision in August 1972...

“...the height of the dam could be kept at 530 or 500 feet but it was also that Madhya Pradesh could construct as many projects in the future as it wished. If Madhya Pradesh utilised all the Narmada waters and as a result if Gujarat did not get any water, Gujarat would not complain is what I am sure of. Yet, Madhya Pradesh was not satisfied because even if its interest were not to be compromised, it did not like that Gujarat got benefits from the Narmada project[5]. More importantly, due to the terrible floods in the Narmada, many areas like Baroda and Bharuch in Gujarat have to suffer excessive loss/damage. This can be stopped only if the height of the dam is kept at 500 feet. When more than fifty lakh acres is to be irrigated, it is not possible to ignore the voices of the 99,000 acres of submergence lands. The landowners of whose lands are to be submerged can be given other land either in Gujarat or Madhya Pradesh and they can be better placed also...

Waters of the SSP enter the villages of Madhya Pradesh submerging homes and fields in 2013. Photo Source: Rajesh Khanna (Bacchu).

“Prime Minister promised the people to bring about a quick solution to this issue, as a result the people were lured and out of 160 seats in the legislative assembly of Gujarat, they gave 140 seats to Smt. Indira Gandhi...Though the Prime Minister had promised to bring about a speedy solution, there was no solution till the year 1974. As opposed to this, she withdrew this issue from the tribunal and kept it unresolved and submitted this issue once again to the tribunal in the end of the year 1974. This is how the judgement was delayed for no reason at all. That one of the two states will have to be displeased and so decision is not being taken is what she had said. But she should have understood this from the very beginning. She should not have promised the people of Gujarat an early decision in the matter. If the Prime minister had not withdrawn this dispute for arbitration, then the tribunal may have announced its decision in the year 1974 itself...”

Rally in Baroda by the Sardar Sarovar Dam affected oustees of Gujarat. Photo Source: Not known.

**Someone pasted records of crystals at this point:**
+++
Starting from a cell relaxed with GGA+U, the powder X-ray diffraction pattern of VPd2O was calculated for copper Kα.

Top 12 peaks for 2θ = 10–90°, by angle:
26.1 deg, 3.417 Å, I 12; 30.6 deg, 2.920 Å, I 13; 34.1 deg, 2.632 Å, I 100; 34.3 deg, 2.612 Å, I 49; 40.6 deg, 2.220 Å, I 18; 46.4 deg, 1.955 Å, I 31; 49.3 deg, 1.847 Å, I 21; 51.1 deg, 1.786 Å, I 22; 56.8 deg, 1.620 Å, I 16; 61.3 deg, 1.512 Å, I 13; 67.4 deg, 1.389 Å, I 15; 74.3 deg, 1.277 Å, I 10

Atomic structure:
```
data_VPd2O
_chemical_formula_sum 'V4 Pd8 O4'
_cell_length_a 8.260
_cell_length_b 8.260
_cell_length_c 3.753
_cell_angle_alpha 90.00
_cell_angle_beta 90.00
_cell_angle_gamma 90.00
_symmetry_space_group_name_H-M 'I -4 2 d'
_symmetry_Int_Tables_number 122
_symmetry_space_group_name_Hall 'I -4 2bw'
loop_
_atom_site_label
_atom_site_type_symbol
_atom_site_fract_x
_atom_site_fract_y
_atom_site_fract_z
_atom_site_occupancy
V1 V 0.000 0.000 0.000 1
Pd1 Pd 0.133 0.250 0.625 1
O1 O 0.000 0.000 0.500 1
```

=====

Calculated powder diffraction line list
Compound: La3Ge2Ir7
Radiation: Cu Kα, 1.54184 Å
Structure: a PBE-relaxed structure

Atomic structure:
Cell: 5.6093 5.6093 24.7452 Å, 90.00 90.00 120.00°
Space group R-3m (No. 166, hexagonal axes)
Symmetry-distinct sites (fractional):
La: 0.0000 0.0000 0.0000
La: 0.0000 0.0000 0.1411
Ge: 0.0000 0.0000 0.3344
Ir: 0.0000 0.0000 0.5000
Ir: 0.0008 0.5004 0.9210

Most intense lines, 2θ = 10–90°, low angle first:
2θ/deg  d (Å)  Rel. int.  hkl
18.6  4.767  25.0  1 0 1
34.4  2.609  34.2  0 1 8
37.2  2.417  60.4  0 2 1
37.7  2.383  35.7  2 0 2
38.8  2.319  100.0  1 1 6
41.4  2.180  49.6  2 0 5
43.9  2.062  24.8  0 0 12
45.3  2.002  28.2  0 2 7
61.5  1.507  26.1  3 0 6
66.7  1.402  36.1  2 2 0
+++

It would have been interesting to know Mr. Desai’s thoughts on the events that unfolded after the year 1977 in the case of the Sardar Sarovar Dam and the NWDT award as Mr. Morarji Desai became the Prime Minister of India from 1977- 1979. Unfortunately his autobiography – “Maru Jeevan Vrutant”, covers the events only up to the year 1975. It is therefore difficult to know in the words of Mr. Morarji Desai himself from his autobiography what transpired while he was the PM in the case of the Narmada/SPP and the NWDT. However, as stated above, the people of the Narmada Valley in the submergence zone of SSP firmly believe that it was only after Mr. Desai became the Prime Minister that the NWDT gained momentum and it gave its award in favor of Gujarat allowing large scale submergence of fertile lands and rich forests in Maharashtra and Madhya Pradesh. 

I also take this opportunity to express my faith that the people’s movement in the Narmada valley will continue as it has continued against all odds over several decades now.  Long live the struggle.


[1] It is important to note here that Rajasthan is not a riparian State as far as the river Narmada is concerned and yet it was made a party State in the dispute.
[2] Note that the report for such a mega project was given within one year of the formation of the Khosla commission.
[3] Navagam, a tribal village on the banks of the river Narmada, currently in the Narmada District of Gujarat was then the site of the Sardar Sarovar Dam. In fact, the Sardar Sarovar Project was also popularly called the Navagam dam.
[4] There was no land area, villages submerging due to this dam in Rajasthan.
[5] Mr. Morarji Desai belonged to Gujarat. One wonders therefore if this statement exhibits bias because Madhya Pradesh indeed had its valid reasons to oppose the 530 feet dam that was to submerge thousands of acres of agricultural land, forests and displace large number of people.